UAZ-469 - Wikipedia
The UAZ-469 is an off-road military light utility vehicle manufactured by UAZ since 1971. It was used by Soviet and other Warsaw Pact armed forces, as well as paramilitary units in Eastern Bloc countries. In the Soviet Union, it also saw widespread service in state organizations that needed a robust and durable off-road vehicle.
UAZ-452 - Wikipedia
The UAZ-452 is a family of four wheel drive off-road vans and light trucks with body-on-frame construction and cab over engine design, built by the Ulyanovsk Automobile Plant (UAZ) since 1965.
UAZ - Wikipedia
UAZ or Ulyanovsky Avtomobilny Zavod (Russian: Ульяновский автомобильный завод, УАЗ, romanized: Ulyanovsky avtomobilny zavod, UAZ, lit. 'Ulyanovsk Automobile Plant') is an automobile manufacturer based in Ulyanovsk, Russia, which manufactures off-road vehicles, buses and trucks.
UAZ-469 - 百度百科
## The text is interrupted by data records
~~~
(1)
This record from the Materials Project describes a relaxed structure of Pb3O4. The functional is meta-GGA r2SCAN.

## Properties
Raw total energy = -28.71 eV/atom
Polymorph energy (0 for the lowest one) = 0.000 eV/f.u.

Cell and atoms, written as POSCAR:
```
Pb3O4
1.0
6.646 0.000 0.000
0.000 8.894 0.000
0.000 0.000 8.894
Pb O
12 16
Direct
0.500 0.163 0.856 Pb
0.000 0.856 0.837 Pb
0.000 0.144 0.163 Pb
0.500 0.337 0.356 Pb
0.000 0.644 0.337 Pb
0.750 0.000 0.500 Pb
0.250 0.500 0.000 Pb
0.000 0.356 0.663 Pb
0.250 0.000 0.500 Pb
0.500 0.837 0.144 Pb
0.500 0.663 0.644 Pb
0.750 0.500 0.000 Pb
0.500 0.865 0.406 O
0.750 0.171 0.329 O
0.000 0.906 0.365 O
0.250 0.671 0.171 O
0.250 0.329 0.829 O
0.500 0.135 0.594 O
0.000 0.594 0.865 O
0.250 0.171 0.329 O
0.500 0.365 0.094 O
0.750 0.829 0.671 O
0.750 0.329 0.829 O
0.000 0.094 0.635 O
0.000 0.406 0.135 O
0.250 0.829 0.671 O
0.750 0.671 0.171 O
0.500 0.635 0.906 O
```

(2)
This record from the Materials Project describes a relaxed structure of PbO2. The functional is meta-GGA r2SCAN.

## Properties
Raw total energy = -23.71 eV/atom

Cell and atoms, written as POSCAR:
```
PbO2
1.0
5.047 0.000 0.000
0.000 5.493 0.000
0.000 0.000 5.955
Pb O
4 8
Direct
0.500 0.750 0.821 Pb
0.000 0.250 0.679 Pb
0.500 0.250 0.179 Pb
0.000 0.750 0.321 Pb
0.267 0.428 0.904 O
0.767 0.572 0.596 O
0.233 0.928 0.596 O
0.733 0.072 0.904 O
0.267 0.928 0.096 O
0.767 0.072 0.404 O
0.233 0.428 0.404 O
0.733 0.572 0.096 O
```

(3)
This record from the Materials Project describes a relaxed structure of PbO2. The functional is meta-GGA r2SCAN.

## Properties
Raw total energy = -23.71 eV/atom

Cell and atoms, written as POSCAR:
```
PbO2
1.0
3.409 0.000 0.000
0.000 4.995 0.000
0.000 0.000 4.995
Pb O
2 4
Direct
0.000 0.000 0.000 Pb
0.500 0.500 0.500 Pb
0.000 0.307 0.307 O
0.500 0.193 0.807 O
0.500 0.807 0.193 O
0.000 0.693 0.693 O
```

* * * * *

1.
# Na6Ni2AsC4O16

Crystalline Na6Ni2AsC4O16 at its relaxed geometry (GGA+U, the Materials Project database).

Summary:
The crystal system is cubic. The energy of formation from the pure elements comes out at -1.84 eV/atom.

Cell lengths 9.8880, 9.8880, 9.8880 Å; angles 60.00, 60.00, 60.00 degrees
With the nearest neighbours (Å) after each atom.
Fractional positions:
1 Na 0.0902 0.0902 0.6598  6 O 2.40-2.48
2 Na 0.0902 0.6598 0.0902  6 O 2.40-2.48
3 Na 0.0902 0.6598 0.6598  6 O 2.40-2.48
4 Na 0.3402 0.3402 0.9098  6 O 2.40-2.48
5 Na 0.3402 0.9098 0.3402  6 O 2.40-2.48
6 Na 0.3402 0.9098 0.9098  6 O 2.40-2.48
7 Na 0.6598 0.0902 0.0902  6 O 2.40-2.48
8 Na 0.6598 0.0902 0.6598  6 O 2.40-2.48
9 Na 0.6598 0.6598 0.0902  6 O 2.40-2.48
10 Na 0.9098 0.3402 0.3402  6 O 2.40-2.48
11 Na 0.9098 0.3402 0.9098  6 O 2.40-2.48
12 Na 0.9098 0.9098 0.3402  6 O 2.40-2.48
13 Ni 0.0000 0.5000 0.5000  6 O 2.09
14 Ni 0.5000 0.0000 0.5000  6 O 2.09
15 Ni 0.5000 0.5000 0.0000  6 O 2.09
16 Ni 0.5000 0.5000 0.5000  6 O 2.09
17 As 0.1250 0.1250 0.1250  4 O 1.72
18 As 0.8750 0.8750 0.8750  4 O 1.72
~~~
## The text goes on
瓦滋-469,是 苏联 UAZ(乌里扬诺夫斯克汽车厂) 生产的一种全地形车辆。 苏军 和其他 华沙条约组织 力量,以及其他 东方集团 国家的准军事化部队都使用了它。 在苏联,它拥有广泛的用途,在所有的国家和军事集团中,都需要有一种性能优异的越野车。 瓦滋-469被采用在1973年,是为了替换更早的 嘎斯 -69。 瓦滋-469 具有两大优势:它能在任何地形开车,修理也是非常容易的。 它的可靠性和路外的能力相当优异,瓦滋-469 因此达到了传奇的地位。 这种车辆因为不现 …
The GAZ-69 (UAZ 69) 4x4 Truck (1949) - Truck Encyclopedia
The GAZ-69 became the basic light off-road vehicle of the Soviet Army. In about ten years, it replaced the previous GAZ-67s and lend-lease WW2 Willys Jeep. They served bot as light transport and staff cars unti replaced by the UAZ-469 in the 1960s. The GAZ-69 was a softskin vehicle, unarmed (outside personal weaponry).
UAZ 469 & UAZ Hunter all you need to know about Russian 4x4
2019年12月25日 · UAZ 469 was meant to be a successor of GAZ 69, a military vehicle that was very similar to American Willys and its roots are coming from World War II. The first prototype UAZ 460 looked quite similar to a Land Rover, which has just started to conquer wild terrains of the former British colonies.
历久弥坚的УАЗUAZ-469 4x4 轻型多用途全地形车(原创)|马力|汽车|uaz…
2022年11月14日 · UAZ-469 是乌里扬诺夫斯克汽车厂(距俄罗斯首都莫斯科东南875公里,地处伏尔加河中游)生产的 4x4 轻型多用途全地形车辆(是著名的传奇军用指挥车"嘎斯—67"(伊万—威利斯)升级版)。 它的开发始于 1961 年。 专门为军事任务而设计。 第一辆原型车于 1962 年完成。 第一批 UAZ-469 系列越野车于 1972 年 12 月 15 日下线。 它在生产中取代了以前的 GAZ-69。 UAZ-469 被苏联军方以及民用运营商广泛使用。 并出口到全球约80个国家地区。 产量已超过 2 …
UAZ-469 (1962-2003) - Motor Car History
=====
(1)
This record from Materials Project describes crystalline KTb3F10 at its relaxed geometry. The functional is PBE-GGA.

Summary:
* V: 14.42 Å³/atom
* energy: -179.3 eV per cell
* E (MP2020): -6.734 eV/atom
* energy of formation from the pure elements: -60.11 eV per formula unit

```
KTb3F10
1.0
0.000 5.866 5.866
5.866 0.000 5.866
5.866 5.866 0.000
F Tb K
20 6 2
Direct
0.830 0.500 0.170
0.500 0.830 0.500
0.170 0.500 0.830
0.665 0.112 0.112
0.112 0.112 0.112
0.830 0.170 0.500
0.830 0.500 0.500
0.888 0.335 0.888
0.500 0.830 0.170
0.500 0.500 0.830
0.500 0.500 0.170
0.335 0.888 0.888
0.170 0.500 0.500
0.170 0.830 0.500
0.500 0.170 0.500
0.888 0.888 0.888
0.888 0.888 0.335
0.500 0.170 0.830
0.112 0.112 0.665
0.112 0.665 0.112
0.240 0.760 0.760
0.240 0.240 0.760
0.760 0.760 0.240
0.240 0.760 0.240
0.760 0.240 0.760
0.760 0.240 0.240
0.250 0.250 0.250
0.750 0.750 0.750
```

***

(2)
This record from Materials Project describes crystalline K3TbF6 at its relaxed geometry. The functional is PBE-GGA.

Summary:
* V: 19.58 Å³/atom
* energy: -105.3 eV per cell
* E (MP2020): -5.543 eV/atom
* energy of formation from the pure elements: -35.97 eV per formula unit

```
K3TbF6
1.0
6.648 0.000 0.000
0.000 6.435 0.000
0.000 6.365 9.156
F Tb K
12 2 6
Direct
0.445 0.886 0.725
0.055 0.886 0.225
0.775 0.765 0.568
0.945 0.114 0.775
0.174 0.668 0.051
0.275 0.235 0.932
0.225 0.235 0.432
0.826 0.332 0.949
0.326 0.668 0.551
0.674 0.332 0.449
0.555 0.114 0.275
0.725 0.765 0.068
0.000 0.000 0.000
0.500 0.000 0.500
0.000 0.500 0.500
0.451 0.733 0.254
0.500 0.500 0.000
0.549 0.267 0.746
0.049 0.733 0.754
0.951 0.267 0.246
```

***

(3)
This record from Materials Project describes crystalline K3TbF6 at its relaxed geometry. The functional is PBE-GGA.

Summary:
* V: 23.75 Å³/atom
* energy: -51.6 eV per cell
* E (MP2020): -5.438 eV/atom
* energy of formation from the pure elements: -34.93 eV per formula unit

```
K3TbF6
1.0
-3.588 -3.588 4.612
-3.588 3.588 -4.612
3.588 -3.588 -4.612
F K Tb
6 3 1
Direct
0.000 0.761 0.761
0.306 0.306 0.000
0.694 0.694 0.000
0.694 0.000 0.694
0.306 0.000 0.306
0.000 0.239 0.239
0.000 0.500 0.500
0.500 0.750 0.250
0.500 0.250 0.750
0.000 0.000 0.000
```

***

(4)
This record from Materials Project describes crystalline K2TcF6 at its relaxed geometry. The functional is PBE-GGA.

Summary:
* V: 15.85 Å³/atom
* energy: -46.8 eV per cell
* E (MP2020): -5.512 eV/atom
* energy of formation from the pure elements: -25.54 eV per formula unit

```
K2TcF6
1.0
-5.336 -0.889 -2.393
2.797 -4.443 2.725
-2.028 1.219 4.070
F K Tc
6 2 1
Direct
0.839 0.677 0.772
0.839 0.161 0.772
0.161 0.323 0.228
0.161 0.839 0.228
0.323 0.161 0.772
0.677 0.839 0.228
0.333 0.667 0.702
0.667 0.333 0.298
0.000 0.000 0.000
```

***

(5)
This record from Materials Project describes crystalline KTh2F9 at its relaxed geometry. The functional is PBE-GGA.

Summary:
* V: 15.99 Å³/atom
* energy: -322.2 eV per cell
* E (MP2020): -7.060 eV/atom
=====
The UAZ -469 (УАЗ -469), later referred to as UAZ -3151 , is an off-road vehicle of the Soviet and Russian manufacturer Uljanowski Awtomobilny Sawod (short UAZ) from Ulyanovsk . The UAZ-469 was mainly used by the Soviet Army and other Warsaw Pact forces .
WW2 Interwar and WW2 Soviet trucks & vehicles (1920-45)
During World War II, the Soviet Union used a variety of trucks for military purposes, both domestically produced and imported from other countries. Here are some examples: GAZ-AA: This was a Soviet truck produced by the GAZ factory between 1932 and 1942. It was used extensively during World War II as a cargo truck and as a platform for ...
忘れられたソ連の軍用車両4選 - ロシア・ビヨンド
80年代半ば、ソ連の技師らは空挺軍のために水上を走れる全地形対応車uaz-3907(プロジェクト「ヤグアル」(「ジャガー」の意)を開発した。 コジュリン氏によれば、技術的にヤグアルは風浪階級2に耐えられるはずだった。